• I align large spaces in width. How to remove large spaces in Word

    Well designed, formatted, looks attractive. Sometimes it gets in the way long distances between words, making it “holey”, interfering with aesthetics and causing inconvenience when reading. In addition, sometimes serious formatting is required when preparing documentation. And you have to think about how to reduce the space between words in Word.

    There are several reasons for the appearance of such voids. When solving a problem, first find out the reasons for its occurrence. These could be hidden signs or you accidentally pressed the button twice. Below we will tell you why they form and how to remove them. large spaces in Word. The information is undoubtedly useful for novice users and more experienced ones who have had to deal with this task.

    1. You can find errors manually. To do this, on the “Home” tab, in the “Paragraph” section, activate “Display all characters”. All formatting symbols will become visible to you, the space looks like a dot in the middle between the words. If you see a double (two dots next to each other), you just have to remove one.
    2. In Word 2013, double/triple long spaces are highlighted as an error; you can fix it - remove the extra ones - by right-clicking on the highlighted error and selecting the desired option in the menu that appears.

    These methods are quite inconvenient and time-consuming. Therefore, we recommend using an automated option that allows you to remove unnecessary items from the entire Word file.

    1. You can quickly and easily remove extra spaces using the “Replace” function. In Word 2003 it is located on the “Edit” tab, and in Word 2007/2010 it is on the “Home” tab on the right, in “Editing”.
    • Click on "Replace".
    • In the window that opens, in the “Find” column, enter a double space.
    • In the “Replace with” column, put a single space.
    • At the bottom of the window, click the “Replace All” button.

    The editor will notify you of the results in additional window: “Word has completed searching the document. Number of substitutions made:..." Repeat the procedure until the editor shows 0 substitutions in the results.

    1. You can also see extra spaces using the spell check service on the website http://text.ru/spelling. Once you check there, you will see where they are (they will be highlighted by the program), then delete them in your Word document.

    Invisible signs

    The distance between words in a document can be increased by invisible characters. They usually appear after copying them into Word from the Internet. They can also be removed manually by opening them with the “Display all characters” button. If there are many such hidden characters, it is more convenient to remove them through replacement: after copying these characters, paste them into the “Find” column in the “Replace” window, leaving the bottom line empty (what we are replacing with).

    Professional layout

    You have large spaces between words and want to reduce them, for example, to reduce the number of lines. How can I artificially reduce a space in Word so that it just becomes shorter?

    • Select the part of the text where you want to reduce the distance between words. Using the “Find” - “Advanced Search” function, open the window, enter a space there and click “Find in”.
    • There, select "Current Fragment". You will see all the spaces in the selected text.
    • Activate the "More" button to add additional parameters. There at the bottom of “Find”, follow the links “Format” - “Font” - “Advanced” - “Spacing”.
    • In the list, click “Compacted”.
    • Install the seal you require, click OK.

    The distance between words will decrease, the text in Word will shrink and take up less space.

    Gaps between words, caused by copying text into Word and formatting it using the alignment function, reduce aesthetics. If you didn’t know how to remove long spaces in Word, try following the steps in our instructions, and you will see that it is not difficult, that you can format your texts yourself, and even do professional layout yourself.

    Description of ways to reduce unnecessary distances between words - large spaces - in Microsoft documents Word, taking into account the peculiarities of performing these actions for versions 2003, 2007, 2010.

    How to remove large spaces in Word 2010 and 2007

    1. Large spaces between words in a document can be caused by the applied text alignment to fit the width of the page. If it is optional, you need to click the “Align Left” button on the formatting panel to change the alignment.

    2. To remove duplicate spaces, use the “Replace” menu item on the control panel. In the Find and Replace dialog box that opens, enter two spaces in the first field and one space in the second. After this, you need to place the text cursor at the beginning of the edited text and click the “Replace All” button in the dialog box.

    As a result, double spaces in the text are converted to single spaces, and the program will tell you how many such replacements were made. Press the “Replace All” button until the number of replacements made equals 0, because there can be not only two, but three, four or more spaces between the words of the text.

    3. Sometimes large distances between words can be due to the use of other characters (for example, tabs, non-breaking space). Reveal characters not visible in normal mode, will allow the “Display all characters” button, which looks like the “Pi” icon and is located on the control panel above the “Paragraph” group. After clicking it, you need to repeat the replacement operation, entering not a double space in the first field, but the copied separating character.

    How to remove large spaces in Word 2003

    Elimination operation extra spaces in Word 2003 it is also done through the search and replace dialog, the work with which is described above for Word programs of newer versions. The differences are minimal.

    Here this dialog box can be called up as follows: using the “Edit” menu item, select the “Find ...” command and go to the “Replace” tab in the dialog box that appears; or just press Ctrl+H.

    To search for other spacing-increasing symbols, you need to enable the “Show all symbols” button, which is placed in version 2003 on the “Standard” toolbar in front of the zoom window (this button is often hidden, and in order to see it, you need to click the down arrow on the toolbar ). Found characters should also be converted to single spaces through search and replace.

    IN Microsoft program Word, like most text editors, has a certain amount of indentation (spacing) between paragraphs. This distance exceeds the distance between lines in the text directly inside each paragraph, and it is necessary for better readability of the document and ease of navigation. In addition, a certain distance between paragraphs is necessary requirement when preparing documents, abstracts, dissertations and other equally important papers.

    For work, as in cases where a document is created not only for personal use, these indents are, of course, necessary. However, in some situations it may be necessary to reduce, or even completely remove, the established distance between paragraphs in Word. We will tell you how to do this below.

    1. Select the text in which you need to change the spacing between paragraphs. If this is a piece of text from a document, use your mouse. If this is all the text content of the document, use the keys “Ctrl+A”.

    2. In a group "Paragraph", which is located in the tab “Home”, find the button "Interval" and click on the small triangle located to the right of it to expand the menu for this tool.

    3. In the window that appears, perform the required action by selecting one of the two lower items or both (this depends on the previous set parameters and what you need as a result):

    • Remove space before paragraph;
    • Remove space after paragraph.

    4. The spacing between paragraphs will be removed.

    Changing and fine-tuning the spacing between paragraphs

    The method we discussed above allows you to quickly switch between standard paragraph spacing values ​​and no spacing (again, the standard value set by default in Word). If you need to fine-tune this distance, set some of your own values ​​so that, for example, it is minimal but still noticeable, do the following:

# Next to the page, the page also holds data records
<<<
# 1
# SiGeP2O GGA-PBE relaxed
# energy relative to the lowest polymorph listed for this composition	0	meV per atom
# calculated density	3.87	g/cm3
# energy relative to the elements, uncorrected	-160.2	meV/atom
# crystal system	tetragonal
data_SiGeP2O
_chemical_formula_sum 'Si1 Ge1 P2 O1'
_cell_length_a 4.845
_cell_length_b 4.845
_cell_length_c 3.268
_cell_angle_alpha 90.00
_cell_angle_beta 90.00
_cell_angle_gamma 90.00
_space_group_name_H-M_alt 'P 4/m m m'
_space_group_IT_number 123
_space_group_name_Hall '-P 4 2'
loop_
_atom_site_label
_atom_site_type_symbol
_atom_site_fract_x
_atom_site_fract_y
_atom_site_fract_z
Si1 Si 0.000 0.000 0.000
Ge1 Ge 0.500 0.500 0.500
P1 P 0.000 0.500 0.000
O1 O 0.000 0.000 0.500

=====

# 2
# SiGeP2O GGA-PBE relaxed
# energy relative to the lowest polymorph listed for this composition	600	meV per atom
# calculated density	3.59	g/cm3
# energy relative to the elements, uncorrected	439.4	meV/atom
# crystal system	tetragonal
data_SiGeP2O
_chemical_formula_sum 'Si1 Ge1 P2 O1'
_cell_length_a 4.792
_cell_length_b 4.792
_cell_length_c 3.603
_cell_angle_alpha 90.00
_cell_angle_beta 90.00
_cell_angle_gamma 90.00
_space_group_name_H-M_alt 'P 4/m m m'
_space_group_IT_number 123
_space_group_name_Hall '-P 4 2'
loop_
_atom_site_label
_atom_site_type_symbol
_atom_site_fract_x
_atom_site_fract_y
_atom_site_fract_z
Si1 Si 0.000 0.000 0.000
Ge1 Ge 0.500 0.500 0.500
P1 P 0.000 0.500 0.500
O1 O 0.500 0.500 0.000

=====

# 3
# SiGePO2 GGA-PBE relaxed
# energy relative to the lowest polymorph listed for this composition	685	meV per atom
# calculated density	4.30	g/cm3
# energy relative to the elements, uncorrected	-218.6	meV/atom
# crystal system	tetragonal
data_SiGePO2
_chemical_formula_sum 'Si1 Ge1 P1 O2'
_cell_length_a 3.555
_cell_length_b 3.555
_cell_length_c 4.997
_cell_angle_alpha 90.00
_cell_angle_beta 90.00
_cell_angle_gamma 90.00
_space_group_name_H-M_alt 'P 4/m m m'
_space_group_IT_number 123
_space_group_name_Hall '-P 4 2'
loop_
_atom_site_label
_atom_site_type_symbol
_atom_site_fract_x
_atom_site_fract_y
_atom_site_fract_z
Si1 Si 0.000 0.000 0.000
Ge1 Ge 0.500 0.500 0.000
P1 P 0.500 0.500 0.500
O1 O 0.000 0.500 0.500

=====

# 4
# SnGeP2O8 GGA-PBE relaxed
# calculated density	4.14	g/cm3
# energy relative to the elements, uncorrected	-1894.5	meV/atom
# crystal system	monoclinic
data_SnGeP2O8
_chemical_formula_sum 'Sn2 Ge2 P4 O16'
_cell_length_a 7.986
_cell_length_b 5.161
_cell_length_c 7.424
_cell_angle_alpha 90.00
_cell_angle_beta 92.42
_cell_angle_gamma 90.00
_space_group_name_H-M_alt 'C 1 2/m 1'
_space_group_IT_number 12
loop_
_space_group_symop_operation_xyz
'x,y,z'
'-x,-y,-z'
'-x,y,-z'
'x,-y,z'
'x+1/2,y+1/2,z'
'-x+1/2,-y+1/2,-z'
'-x+1/2,y+1/2,-z'
'x+1/2,-y+1/2,z'
loop_
_atom_site_label
_atom_site_type_symbol
_atom_site_fract_x
_atom_site_fract_y
_atom_site_fract_z
Sn1 Sn 0.000 0.000 0.000
Ge1 Ge 0.000 0.000 0.500
P1 P 0.140 0.500 0.292
O1 O 0.026 0.253 0.313
O2 O 0.202 0.500 0.101
O3 O 0.229 0.000 0.551

=====

# 5
>>>

    1. Using the mouse or buttons on the keyboard, select the text or fragment in which the distance between paragraphs needs to be changed.

    2. Call up the group dialog box "Paragraph" by clicking on the small arrow located in the lower right corner of this group.

    3. In the dialog box "Paragraph" which will open in front of you in the section "Interval" set the required values "Before" And "After".

      Advice: If necessary, without leaving the dialog box "Paragraph", you can disable adding spacing between paragraphs written in the same style. To do this, check the box next to the appropriate item.
      Tip 2: If you don't need paragraph spacing at all, for spacing "Before" And "After" set values “0 pt”. If intervals are needed, even if they are minimal, set a value greater 0 .

    4. The spacing between paragraphs will change or disappear depending on the values ​​you set.

      Advice: If necessary, you can always set manual interval values ​​as default settings. To do this, just click on the corresponding button in the “Paragraph” dialog box, which is located in its lower part.

    Similar actions (calling the dialog box "Paragraph") can also be done through the context menu.

    1. Select the text whose paragraph spacing settings you want to change.

    2. Right-click on the text and select "Paragraph".

    3. Set the required values ​​to change the spacing between paragraphs.

    We can finish here, because now you know how to change, reduce or remove spacing between paragraphs in Word. We wish you success in further mastering the capabilities of multifunctional text editor from Microsoft.

    If text document It was not typed by you, then you may be surprised by its design, for example, by the presence of large spaces. To deal with them, it is necessary to find out the reason for their appearance, for which we will next consider the question of how to remove spaces between words in Word.

    There can be many reasons for the appearance of large spaces between words, and the most common of them is text alignment. With this alignment, each line, the continuation of which goes to the next line, is stretched in width from edge to edge, i.e. The first and last words on a given line are pressed against the edges of the sheet border. You can change the spacing between words in Word by choosing a different alignment method, for example, left alignment. You can find alignment options on the tab "Home" in the sector "Paragraph".

    Large spaces between words in Vaudres can also appear when setting several spaces in a row, but in Word 2013, double or more spaces are considered an error and are immediately highlighted. You can remove large spaces between words in Word by right-clicking on the highlighted error and selecting the suggested autocorrect option from the menu. But such option will do only for isolated cases, since only the first double or more space found in the text is highlighted.

    At large quantities If there are double or more spaces in the text, it is better to use autocorrect. On the tab "Home" find the point "Replace" and set up a replacement. In the column "Find:" two spaces should be specified, and in the column "Replace with:" one space, then press the button "Replace All" and repeat this procedure until the replacement results in zero objects.

    Well last reason the presence of a large space between words, these are established hidden characters, for example, tab. To see all the hidden symbols on the sheet, you need to go to the tab "Home" select item "Show all characters".

    Beautiful document formatting is half the work. After all, everyone will agree that reading a structured and perfectly composed article is incredibly pleasant. This increases interest.

    In this article we will talk about how to remove spaces between all paragraphs in Word. possible ways. After all, paragraphs are also part of formatting. And when there are awkward large indents between them, it is unaesthetic.

    Extra paragraphs

    First of all, before talking about how to remove large spaces between, it’s worth talking about a slightly different problem. Sometimes the culprit for such breaks is the negligence and inattention of the user himself. Instead of once, he can press the ENTER key twice. Thus, making two paragraphs. Now we will figure out how to remove spaces between paragraphs in Word if they are caused by a fault double click ENTER.

    Of course, you won’t see the number of paragraphs visually unless you activate a special option in Word. We'll talk about it now.

    First you need to visualize. This is done by clicking the corresponding button on the toolbar. You can easily see its location in the picture below.

    After clicking the button, all non-printable characters will become visible in the article. We are interested in only one thing - the paragraph. Its sign is the same as on the button that we pressed - “¶”.

    Now, all you have to do is look through the entire text for double paragraphs. And if such are found, one of them can simply be deleted.

    Applying styles

    Now, moving on to more serious problems, we will talk about how to remove spaces between paragraphs in Word 2007, if the reason for their appearance was incorrect formatting. We will analyze the simplest way, we will change the style of the text itself. Why 2007? The answer is simple. The fact is that it was in this version of the program that these same styles appeared. But if you have a later version, then you will have them too.

    So, the point is simple. Initially, you need to select the text itself. If all of it will be changed, you can use the CTRL+A keys. Having selected the desired fragment, you need to go to the "Home" tab, if you are not on it now. There, pay attention to the "Styles" area. You can scroll through them using the arrow in the center or open the entire list using the bottom one.

    By hovering your mouse over a style, you will see how your text changes after applying it. Finally, having chosen what you like, apply the changes.

    Using Paragraph settings

    If among all the styles you have not found a suitable one, then it is better to use full setup. Now we will tell you how to remove large spaces between paragraphs in Word through the “Paragraph” settings menu.

    Initially, you need to get into this very menu. To do this, click the corresponding button on the toolbar. It is located on the "Home" tab, and its exact location can be seen in the picture below.

    Once in the settings, make sure that the first tab is selected - “Indents and spacing”. As you might guess, among all the parameters we are interested in only one - “Interval”. You can see the exact location of the distance settings between paragraphs in the picture.

    In order to change the amount of space between paragraphs, you need to change the value of these two counters. In the case when you want to completely remove the gap, set the value to “0”.

    Once you have entered all the parameters, you should click the "OK" button to apply them. If you want to set the entered parameters to default, click the “Default” button, and in the window that appears, select for which document you want to save the settings.

    Change it in a couple of mouse clicks (first method)

    It should be immediately notedthe fact that using the previous method, you could make the most flexible adjustment of the spacing between paragraphs. Well, now we’ll talk about how to remove spaces between paragraphs in Word so that they don’t exist at all.

    This is done quite simply, you just need to find the desired button on the toolbar. It is located, as usual, on the “Home” tab, and you can see its exact location in the picture.

    Click on it to open a drop-down menu. In it we are interested in only one line - “Remove space after paragraph”. Of course, you can add a space here before the paragraph, as well as set it, but this is done at will.

    This was not the last way to remove spaces between paragraphs in Word; there is one more, which we will now move on to.

    Change in a couple of mouse clicks (second method)

    Now we will look at a way to remove spaces between paragraphs in Word 2010 and older. The point is that in earlier versions There is no program for this function.

    So, initially you need to go to the "Page Layout" tab. There you will find an area called "Paragraph". Now look for the fields that say "Interval" above them. They are responsible for the distance between paragraphs. To remove spaces completely, enter values ​​of "0". If you want to adjust the distance, then set the parameters manually.